## Material
# IrRuRh2

A relaxed IrRuRh2 crystal (GGA-PBEsol, the Alexandria database).

Computed properties:
calculated formation energy = 0.009 eV per atom

a = 8.9007 Å, b = 8.9007 Å, c = 8.9007 Å
α = 17.28°, β = 17.28°, γ = 17.28°
With the nearest neighbours (Å) after each atom.
Positions (direct):
Ir 0.0000 0.0000 0.0000  6 Ir 2.67, 6 Rh 2.71
Ru 0.5000 0.5000 0.5000  6 Rh 2.65, 6 Ru 2.67
Rh 0.2487 0.2487 0.2487  3 Ru 2.65, 6 Rh 2.67, 3 Ir 2.71
Rh 0.7513 0.7513 0.7513  3 Ru 2.65, 6 Rh 2.67, 3 Ir 2.71

---

# NbAs2Au

A relaxed NbAs2Au crystal (GGA-PBEsol, the Alexandria database).

Computed properties:
calculated formation energy = 0.125 eV per atom

a = 4.5915 Å, b = 4.5915 Å, c = 4.5915 Å
α = 60.00°, β = 60.00°, γ = 60.00°
With the nearest neighbours (Å) after each atom.
Positions (direct):
Nb 0.0000 0.0000 0.0000  8 As 2.81
As 0.2500 0.2500 0.2500  4 Au 2.81, 4 Nb 2.81
As 0.7500 0.7500 0.7500  4 Nb 2.81, 4 Au 2.81
Au 0.5000 0.5000 0.5000  8 As 2.81

---

# KRb2AlCl6

A relaxed KRb2AlCl6 crystal (GGA-PBEsol, the Alexandria database).

a = 7.3895 Å, b = 7.3895 Å, c = 7.3895 Å
α = 60.00°, β = 60.00°, γ = 60.00°
With the nearest neighbours (Å) after each atom.
Positions (direct):
K 0.0000 0.0000 0.0000  6 Cl 2.91
Rb 0.2500 0.2500 0.2500  12 Cl 3.71
Rb 0.7500 0.7500 0.7500  12 Cl 3.71
Al 0.5000 0.5000 0.5000  6 Cl 2.32
Cl 0.2781 0.2781 0.7219  1 Al 2.32
Cl 0.2781 0.7219 0.2781  1 Al 2.32
Cl 0.2781 0.7219 0.7219  1 Al 2.32
Cl 0.7219 0.2781 0.2781  1 Al 2.32
Cl 0.7219 0.2781 0.7219  1 Al 2.32
Cl 0.7219 0.7219 0.2781  1 Al 2.32

---

# LiLaSb

A relaxed LiLaSb crystal (GGA-PBEsol, the Alexandria database).

a = 6.1032 Å, b = 6.1032 Å, c = 6.1032 Å
α = 144.35°, β = 144.35°, γ = 51.31°
With the nearest neighbours (Å) after each atom.
Positions (direct):
Li 0.0000 0.0000 0.0000  4 Sb 2.86
La 0.2918 0.2918 0.0000  5 Li 3.21-3.50, 5 Sb 3.38-3.39
Sb 0.5990 0.5990 0.0000  4 Li 2.86

---

# BiMo3H

A relaxed BiMo3H crystal (GGA-PBEsol, the Alexandria database).

a = 5.0112 Å, b = 5.0112 Å, c = 5.0112 Å
α = 90.00°, β = 90.00°, γ = 90.00°
With the nearest neighbours (Å) after each atom.
Positions (direct):
Bi 0.0000 0.0000 0.0000  6 Mo 2.51
Mo 0.0000 0.0000 0.5000  2 Bi 2.51
Mo 0.0000 0.5000 0.0000  2 Bi 2.51
Mo 0.5000 0.0000 0.0000  2 Bi 2.51
H 0.5000 0.5000 0.5000  12 Mo 3.54

---

# PbCN2

A relaxed PbCN2 crystal (GGA-PBEsol, the Alexandria database).

a = 5.5285 Å, b = 3.8117 Å, c = 11.8247 Å
α = 90.00°, β = 90.00°, γ = 90.00°
With the nearest neighbours (Å) after each atom.
Positions (direct):
Pb 0.1097 0.2500 0.1363  5 N 2.36-2.63
Pb 0.3903 0.7500 0.6363  5 N 2.36-2.63
Pb 0.6097 0.2500 0.3637  5 N 2.36-2.63
Pb 0.8903 0.7500 0.8637  5 N 2.36-2.63
C 0.1171 0.7500 0.3983  2 N 1.22-1.25
C 0.3829 0.2500 0.8983  2 N 1.22-1.25
C 0.6171 0.7500 0.1017  2 N 1.22-1.25
C 0.8829 0.2500 0.6017  2 N 1.22-1.25
N 0.0818 0.2500 0.6473  1 C 1.22
N 0.1748 0.2500 0.9392  1 C 1.25
N 0.3252 0.7500 0.4392  1 C 1.25
N 0.4182 0.7500 0.1473  1 C 1.22
N 0.5818 0.2500 0.8527  1 C 1.22
N 0.6748 0.2500 0.5608  1 C 1.25
N 0.8252 0.7500 0.0608  1 C 1.25
N 0.9182 0.7500 0.3527  1 C 1.22

---

# BaC2N2O2

A relaxed BaC2N2O2 crystal (GGA-PBEsol, the Alexandria database).

a = 14.1028 Å, b = 14.1028 Å, c = 14.1028 Å
α = 29.14°, β = 29.14°, γ = 29.14°
With the nearest neighbours (Å) after each atom.
Positions (direct):
Ba 0.1499 0.1499 0.1499  6 O 2.79-2.84, 3 N 2.96
Ba 0.2500 0.2500 0.2500  6 O 2.67
Ba 0.3501 0.3501 0.3501  6 O 2.79-2.84, 3 N 2.96
Ba 0.6499 0.6499 0.6499  6 O 2.79-2.84, 3 N 2.96
Ba 0.7500 0.7500 0.7500  6 O 2.67
Ba 0.8501 0.8501 0.8501  6 O 2.79-2.84, 3 N 2.96
C 0.0011 0.7592 0.1266  1 O 1.30, 2 N 1.35-1.36
C 0.1266 0.0011 0.7592  1 O 1.30, 2 N 1.35-1.36
C 0.2408 0.8734 0.9989  1 O 1.30, 2 N 1.35-1.36
C 0.2592 0.5011 0.6266  1 O 1.30, 2 N 1.35-1.36
C 0.3734 0.7408 0.4989  1 O 1.30, 2 N 1.35-1.36
C 0.4989 0.3734 0.7408  1 O 1.30, 2 N 1.35-1.36
C 0.5011 0.6266 0.2592  1 O 1.30, 2 N 1.35-1.36
C 0.6266 0.2592 0.5011  1 O 1.30, 2 N 1.35-1.36
## Assignment
Please count the lines earlier on that contain the word "Li" and give the number alone.
## Written answer
3